Dirty Food Technologies

Time for Government to Pull Up NZ’s Slide into Dirty Food Technologies.

## Someone pasted calculated crystals at this point
____________
<P>
15
Lattice="-0.287 -0.207 -6.000 -0.534 -6.245 0.163 -5.461 -1.935 0.910" Properties=species:S:1:pos:R:3 comment="Na6MgCo2O6 | the Materials Project database | PBE with a Hubbard U | optimized geometry" m_tot_mub_per_fu=6.0 pbc="T T T"
Na -4.147 -4.388 -1.535
Na -2.135 -3.999 -3.391
Na -3.422 -2.500 0.581
Na -2.861 -5.887 -5.507
Na -0.554 -5.466 -1.408
Na -5.729 -2.922 -3.518
Mg -0.555 -3.330 -5.918
Co -4.364 -6.664 -3.138
Co -1.919 -1.724 -1.788
O -4.317 -4.786 -3.892
O -1.966 -3.601 -1.034
O -0.675 -5.066 -4.857
O -5.608 -3.322 -0.069
O -2.338 -1.695 -3.791
O -3.945 -6.693 -1.135

***

<Q>
15
Lattice="5.915 -0.169 0.003 0.284 5.644 2.731 -0.076 0.273 6.258" Properties=species:S:1:pos:R:3 comment="Na6MgCo2O6 | the Materials Project database | PBE with a Hubbard U | optimized geometry" m_tot_mub_per_fu=6.0 pbc="T T T"
Na 2.346 2.613 5.392
Na 3.171 4.693 3.395
Na 0.399 0.585 4.928
Na 0.384 4.943 4.633
Na 1.077 3.558 7.636
Na 4.827 1.895 6.953
Mg 5.092 2.536 3.392
Co 4.050 4.706 6.477
Co 2.180 1.082 2.612
O 4.508 3.262 5.127
O 1.169 2.526 3.514
O 4.852 4.247 8.224
O 1.427 0.978 0.746
O 4.234 0.834 2.776
O 2.080 4.963 6.265

***

Name the most stable of them. <Q>.

***

<P>
15
Lattice="-4.596 -2.706 3.858 3.382 -5.321 1.889 1.780 2.323 4.127" Properties=species:S:1:pos:R:3 comment="Na6MgCo2O6 | the Materials Project database | PBE with a Hubbard U | optimized geometry" m_tot_mub_per_fu=6.0 pbc="T T T"
Na 2.074 -3.187 2.053
Na 2.964 -3.983 6.717
Na -0.768 -4.377 4.329
Na 0.648 -1.102 5.714
Na -2.126 -1.735 3.930
Na -1.633 -2.550 7.011
Mg 1.616 -3.289 4.608
Co 0.303 -0.871 2.228
Co 0.330 -4.854 7.629
O 3.205 -2.148 4.423
O 2.185 -5.137 4.261
O 0.225 -2.499 3.390
O 0.697 -3.321 6.396
O -2.786 -3.721 5.108
O -1.486 -0.397 5.960

***

<Q>
15
Lattice="4.722 5.732 0.000 -4.722 5.732 0.000 0.000 0.000 4.217" Properties=species:S:1:pos:R:3 comment="Na6MgCo2O6 | the Materials Project database | PBE with a Hubbard U | optimized geometry" m_tot_mub_per_fu=6.0 pbc="T T T"
Na -2.387 3.879 1.054
Na -2.503 6.801 3.163
Na 0.000 6.739 1.054
Na 0.000 4.827 3.163
Na 2.387 3.879 1.054
Na 2.503 6.801 3.163
Mg 0.000 11.392 1.054
Co 0.000 2.566 1.054
Co 0.000 9.098 3.163
O -3.288 4.569 3.163
O -3.290 7.073 1.054
O 0.000 4.373 1.054
O 0.000 7.269 3.163
O 3.290 7.073 1.054
O 3.288 4.569 3.163

***

<R>
15
Lattice="5.795 -0.006 -0.257 0.318 5.730 2.343 -0.345 -0.104 6.162" Properties=species:S:1:pos:R:3 comment="Na6MgCo2O6 | the Materials Project database | PBE with a Hubbard U | optimized geometry" m_tot_mub_per_fu=6.0 pbc="T T T"
Na 2.146 1.986 5.038
Na 3.623 3.633 3.210
Na 5.447 1.208 3.726
Na 0.321 4.411 4.522
Na 1.240 4.922 8.081
Na 4.529 0.698 0.168
Mg -0.186 2.761 7.334
Co 3.662 4.587 6.000
Co 2.106 1.032 2.249
O 4.381 2.789 5.325
O 1.388 2.831 2.923
O 4.624 4.353 7.706
O 1.144 1.267 0.542
O 3.928 0.219 2.257
O 1.840 5.401 5.991

***

Name the most stable of them. <P>.

***

<P>
14
____________

The Soil & Health Association wants 2007 to be the year that New Zealand confirms its Clean Green image and snaps the crown agencies out of the slide into the unsustainable and unwanted activities of GE and animal cloning.

Inserted here: calculated crystals =
┌──
Entry 1:
{
  "formula": "YN",
  "functional": "PBE",
  "state": "relaxed",
  "lattice_angstrom": [[3.009, 0.000, 0.000], [0.000, 3.009, 0.000], [0.000, 0.000, 3.009]],
  "species": ["Y", "N"],
  "frac_coords": [[0.000, 0.000, 0.000], [0.500, 0.500, 0.500]],
  "sg": "Pm-3m, No. 221",
  "delta_e_f_ev_per_atom": -0.9313,
  "density_g_cm3": 6.276
}

=====

Entry 2:
{
  "formula": "Nd3U2O10",
  "functional": "PBE",
  "state": "relaxed",
  "lattice_angstrom": [[6.001, -2.747, 0.000], [6.001, 2.747, 0.000], [-5.758, 0.000, 6.277]],
  "species": ["Nd", "Nd", "Nd", "U", "U", "O", "O", "O", "O", "O", "O", "O", "O", "O", "O"],
  "frac_coords": [[0.000, 0.000, 0.000], [0.400, 0.400, 0.597], [0.600, 0.600, 0.403], [0.192, 0.192, 0.791], [0.808, 0.808, 0.209], [0.055, 0.530, 0.714], [0.138, 0.647, 0.111], [0.226, 0.774, 0.500], [0.353, 0.862, 0.889], [0.470, 0.945, 0.286], [0.530, 0.055, 0.714], [0.647, 0.138, 0.111], [0.774, 0.226, 0.500], [0.862, 0.353, 0.889], [0.945, 0.470, 0.286]],
  "sg": "C2/m, No. 12",
  "delta_e_f_ev_per_atom": -3.8466,
  "density_g_cm3": 8.575
}

=====

Entry 3:
{
  "formula": "TbBi3",
  "functional": "PBE",
  "state": "relaxed",
  "lattice_angstrom": [[6.839, 0.000, 0.000], [-3.420, 5.923, 0.000], [0.000, 0.000, 6.066]],
  "species": ["Tb", "Tb", "Bi", "Bi", "Bi", "Bi", "Bi", "Bi"],
  "frac_coords": [[0.333, 0.667, 0.250], [0.667, 0.333, 0.750], [0.172, 0.344, 0.750], [0.172, 0.828, 0.750], [0.344, 0.172, 0.250], [0.656, 0.828, 0.750], [0.828, 0.172, 0.250], [0.828, 0.656, 0.250]],
  "sg": "P6_3/mmc, No. 194",
  "delta_e_f_ev_per_atom": -0.3490,
  "density_g_cm3": 10.621
}

=====

Entry 4:
{
  "formula": "RbCdN3",
  "functional": "PBE",
  "state": "relaxed",
  "lattice_angstrom": [[4.588, 0.000, 0.000], [0.000, 4.588, 0.000], [0.000, 0.000, 4.588]],
  "species": ["Rb", "Cd", "N", "N", "N"],
  "frac_coords": [[0.000, 0.000, 0.000], [0.500, 0.500, 0.500], [0.000, 0.500, 0.500], [0.500, 0.000, 0.500], [0.500, 0.500, 0.000]],
  "sg": "Pm-3m, No. 221",
  "delta_e_f_ev_per_atom": 1.6578,
  "density_g_cm3": 4.126
}

=====

Entry 5:
{
  "formula": "Na3GaP2H2O9",
  "functional": "PBE",
  "state": "relaxed",
  "lattice_angstrom": [[7.799, -3.620, 0.000], [7.799, 3.620, 0.000], [-0.819, 0.000, 7.098]],
  "species": ["Na", "Na", "Na", "Na", "Na", "Na", "Ga", "Ga", "P", "P", "P", "P", "H", "H", "H", "H", "O", "O", "O", "O", "O", "O", "O", "O", "O", "O", "O", "O", "O", "O", "O", "O", "O", "O"],
└──

Soil & Health also wants Fonterra, Meat New Zealand and other key commercial agencies and productive sectors to confirm that they will not be part of the slide to food production using cloning or genetic engineering.

Although against international consumer trends, government agency AgResearch has supported the US Food and Drug Administration’s direction of bringing food from cloned animals into the food chain.

Crop & Food another government institution continues to push ahead with genetically engineered food plant trials. Forest Research continues with its GE tree trials. Landcare Research is researching GE biological pest controls.

“With key politicians mooting a new era of sustainability and for ‘sustainability to be central to New Zealand’s unique national identity’, Clean and Green and 100% Pure need to be reinforced as New Zealand images, not attacked by unproven, high risk and unwanted technologies,” said Soil & Health spokesperson Steffan Browning.

Of particular recent concern was AgResearch’s cloning call, according to Soil & Health. AgResearch is way out of step with consumer preferences, and AgResearch support for the US FDA’s position that includes a no labelling intent for foods derived from cloned animals, is both arrogant and a call for commercial disaster.

GE Free and Clone Free must be standard for New Zealand in the new era of sustainability and huge international market growth for organics.

New Zealand benefits from its clean and green reputation, and foods need to be labelled to ensure consumers both in NZ and overseas can choose GE and clone free.

Consumers won’t want food that has animal welfare implications either, according to Mr Browning, noting that cloning has caused significant suffering in animals already.

Any involvement by Fonterra in cloning is also a step away from a sustainable future for its farmer owners. Real value-added products will have genuine ECO sustainability ticks or organic certification, not risky new food concoctions.

Organic certification, which is the vanguard of consumer guarantees for sustainable production, does not allow either GE or cloning in either production or processing.

Here the article breaks off for materials data >
- - -
(1)
Computed, not measured: a geometry-optimized K2CoCl4 structure at the PBE level of DFT.

Cell lengths 14.555, 14.555, 27.216 Å; angles 90.07, 90.07, 119.00 degrees
Element x y z (fractional)
K: 0.009 0.070 0.665
K: 0.011 0.576 0.167
K: 0.012 0.575 0.834
K: 0.029 0.971 0.500
K: 0.035 0.474 0.000
K: 0.061 0.493 0.663
K: 0.068 0.998 0.831
K: 0.070 0.009 0.165
K: 0.076 0.514 0.329
K: 0.185 0.866 0.955
K: 0.186 0.341 0.880
K: 0.193 0.356 0.542
K: 0.195 0.855 0.619
K: 0.210 0.371 0.208
K: 0.217 0.887 0.289
K: 0.331 0.667 0.455
K: 0.341 0.186 0.380
K: 0.354 0.672 0.118
K: 0.356 0.193 0.042
K: 0.371 0.210 0.708
K: 0.372 0.706 0.788
K: 0.474 0.035 0.500
K: 0.475 0.541 0.999
K: 0.493 0.061 0.163
K: 0.507 0.568 0.332
K: 0.514 0.076 0.829
K: 0.515 0.578 0.668
K: 0.532 0.971 0.998
K: 0.541 0.475 0.499
K: 0.568 0.507 0.832
K: 0.575 0.012 0.334
K: 0.576 0.011 0.667
K: 0.578 0.515 0.168
K: 0.662 0.834 0.543
K: 0.667 0.331 0.955
K: 0.672 0.354 0.618
K: 0.685 0.859 0.879
K: 0.703 0.879 0.209
K: 0.706 0.372 0.288
K: 0.834 0.662 0.043
K: 0.855 0.195 0.119
K: 0.859 0.685 0.379
K: 0.866 0.185 0.455
K: 0.879 0.703 0.709
K: 0.887 0.217 0.789
K: 0.971 0.029 0.000
K: 0.971 0.532 0.498
K: 0.998 0.068 0.331
Co: 0.177 0.845 0.093
Co: 0.182 0.350 0.403
Co: 0.192 0.867 0.427
Co: 0.194 0.357 0.069
Co: 0.202 0.367 0.739
Co: 0.205 0.867 0.756
Co: 0.347 0.682 0.595
Co: 0.350 0.182 0.903
Co: 0.356 0.693 0.926
Co: 0.357 0.194 0.569
Co: 0.367 0.202 0.239
Co: 0.371 0.700 0.259
Co: 0.675 0.841 0.404
Co: 0.682 0.347 0.095
Co: 0.690 0.865 0.072
Co: 0.693 0.356 0.426
Co: 0.700 0.371 0.759
Co: 0.703 0.870 0.740
Co: 0.841 0.675 0.904
Co: 0.845 0.177 0.593
Co: 0.865 0.690 0.572
Co: 0.867 0.192 0.927
Co: 0.867 0.205 0.256
Co: 0.870 0.703 0.240
Cl: 0.059 0.882 0.056
Cl: 0.082 0.912 0.387
Cl: 0.088 0.403 0.112
Cl: 0.096 0.423 0.442
Cl: 0.102 0.709 0.720
Cl: 0.103 0.208 0.776
Cl: 0.121 0.187 0.434
Cl: 0.135 0.695 0.414
Cl: 0.141 0.185 0.077
Cl: 0.147 0.684 0.070
Cl: 0.148 0.336 0.322
Cl: 0.154 0.475 0.778
Cl: 0.157 0.338 0.660
Cl: 0.160 0.846 0.175
Cl: 0.162 0.979 0.718
Cl: 0.163 0.841 0.836
Cl: 0.185 0.141 0.577
Cl: 0.185 0.631 0.564
Cl: 0.185 0.648 0.921
Cl: 0.187 0.121 0.934
Cl: 0.208 0.103 0.276
Cl: 0.215 0.596 0.221
Cl: 0.218 0.916 0.506
Cl: 0.219 0.415 0.992
Cl: 0.333 0.640 0.674
Cl: 0.336 0.148 0.822
Cl: 0.337 0.960 0.063
Cl: 0.338 0.157 0.160
Cl: 0.342 0.652 0.338
Cl: 0.351 0.444 0.426
Cl: 0.351 0.964 0.390
Cl: 0.355 0.447 0.107
Cl: 0.372 0.418 0.753
Cl: 0.375 0.914 0.743
Cl: 0.392 0.579 0.885
Cl: 0.403 0.088 0.612
Cl: 0.412 0.720 0.005
Cl: 0.415 0.219 0.492
Cl: 0.416 0.594 0.552
Cl: 0.417 0.870 0.247
Cl: 0.418 0.372 0.253
Cl: 0.423 0.096 0.942
Cl: 0.444 0.351 0.926
Cl: 0.446 0.854 0.577
Cl: 0.447 0.355 0.607
Cl: 0.454 0.849 0.888
Cl: 0.475 0.154 0.278
Cl: 0.483 0.660 0.218
Cl: 0.565 0.883 0.445
Cl: 0.572 0.900 0.111
Cl: 0.579 0.392 0.385
Cl: 0.594 0.416 0.052
Cl: 0.596 0.215 0.721
Cl: 0.597 0.715 0.778
Cl: 0.631 0.185 0.064
Cl: 0.639 0.694 0.082
Cl: 0.640 0.333 0.174
- - -
The article goes on >

Government expressing a target of an Organic 2020 to its funding and research agencies would be far more productive for New Zealand’s reputation, market appeal, and food and environmental safety.